Club Documentation
The following are links to PDF versions of the Club's Constitution, ByLaws, Policies & Code of Ethics:
- PSLRA Constitution: PDF Version
- PSLRA ByLaws: PDF Version
- PSLRA Policies: PDF Version
- PSLRA Code of Ethics: PDF Version
PSLRA is a not-for-profit organization dedicated to promoting the Labrador Retriever as an All-Around Dog. [Read More]
Constitution & ByLaws
The name of the club shall be The Puget Sound Labrador Retriever Association. The objects of the Club shall be: [Read More]
Code of Ethics
The Puget Sound Labrador Retriever Association recognizes our responsibility to the Labrador Retriever breed, and the Labrador Retriever breed enthusiast. As such, we set forth this Code of Ethics to reflect the desire of the membership to: [Read More]
Officers & Board Members
Our Board members each make an attempt to attend and help work at least one club event annually in addition to Board Meetings, All-Member Meetings, and Annual Planning Meetings. Many Board members are also chairpersons for events throughout the year. [Read More]
Committees & Other Contacts
Data records from another source follow:
# TcSnRuRh2

A geometry-optimized TcSnRuRh2 structure (PBEsol, the Alexandria database).

Structure (CIF):
```
data_TcSnRuRh2
_chemical_formula_sum 'Tc1 Sn1 Ru1 Rh2'
_cell_length_a 4.673
_cell_length_b 4.673
_cell_length_c 4.731
_cell_angle_alpha 90.00
_cell_angle_beta 90.00
_cell_angle_gamma 90.00
_space_group_name_H-M_alt 'P 4/m m m'
_space_group_IT_number 123
_space_group_name_Hall '-P 4 2'
loop_
_atom_site_label
_atom_site_fract_x
_atom_site_fract_y
_atom_site_fract_z
Tc1 0.000 0.000 0.000
Sn1 0.500 0.500 0.500
Ru1 0.500 0.500 0.000
Rh1 0.000 0.500 0.500
```

The density of states at the Fermi level comes out at 6.311 states/eV/cell. For the magnetic moment, the calculation gives 4.7 μB per cell. Its energy is -6.41 eV per atom. Its formation energy is 1.987 eV per atom.

* * * * *

VASP calculation (PBE with a Hubbard U) on an optimized crystal structure of BaVTcF2. Values from VASP.

Geometry as Quantum ESPRESSO input:
```
&SYSTEM
  ibrav = 0, nat = 5, ntyp = 4
/
ATOMIC_SPECIES
Tc 98.00 Tc.upf
F 19.00 F.upf
Ba 137.33 Ba.upf
V 50.94 V.upf
CELL_PARAMETERS angstrom
-1.421 0.163 -4.039
4.050 -2.031 -1.507
-1.770 -3.874 0.466
ATOMIC_POSITIONS crystal
Tc 0.000 0.500 0.000
F 0.000 0.000 0.500
F 0.500 0.000 0.000
Ba 0.500 0.500 0.500
V 0.000 0.000 0.000
```

Computed properties:
The space-group type is P4/mmm (123). The final energy is -26.30 eV/cell. The calculation puts the volume at 17.5 A^3/atom. Its total moment is 0.37 μB per cell.

* * * * *

# 1
The following is a DFT calculation (GGA-PBE) of a geometry-optimized KPm3Cl10 structure.

a = 14.4327 Å, b = 14.4327 Å, c = 14.4327 Å
α = 90.00°, β = 90.00°, γ = 90.00°
With the nearest neighbours (Å) after each atom.
Space group Fm-3m (No. 225)
Inequivalent atoms, fractional coordinates:
K: 0.2500 0.2500 0.2500 x8  4 Cl 3.36
Pm: 0.0000 0.0000 0.2399 x24  8 Cl 2.76-2.96
Cl: 0.0000 0.1679 0.3321 x48  2 Pm 2.76
Cl: 0.1156 0.1156 0.1156 x32  3 Pm 2.96



# 2
The following is a DFT calculation (GGA-PBE) of a geometry-optimized LiPuTl2S4 structure.

a = 6.6626 Å, b = 4.0193 Å, c = 7.6604 Å
α = 90.00°, β = 106.79°, γ = 90.00°
With the nearest neighbours (Å) after each atom.
Space group P2/m (No. 10)
Inequivalent atoms, fractional coordinates:
Li: 0.0000 0.0000 0.0000 x1  6 S 2.67-2.77
Pu: 0.5000 0.5000 0.0000 x1  6 S 2.54-2.68
Tl: 0.0000 0.5000 0.5000 x1  6 S 3.23
Tl: 0.5000 0.0000 0.5000 x1  6 S 3.13-3.15
S: 0.2521 0.5000 0.1971 x2  1 Pu 2.54, 2 Li 2.77
S: 0.2748 0.0000 0.8061 x2  1 Li 2.67, 2 Pu 2.68



# 3
The following is a DFT calculation (GGA-PBE) of a geometry-optimized BeTe2HI structure.

## Properties
Offset from the most stable computed form: 38.3 kJ/mol of formula units

a = 4.9765 Å, b = 4.9765 Å, c = 5.5976 Å
α = 90.00°, β = 90.00°, γ = 90.00°
With the nearest neighbours (Å) after each atom.
Space group P4/mmm (No. 123)
Inequivalent atoms, fractional coordinates:
Be: 0.0000 0.0000 0.0000 x1  4 Te 2.49
Te: 0.0000 0.5000 0.0000 x2  2 Be 2.49
H: 0.5000 0.5000 0.5000 x1  4 I 3.52, 8 Te 3.74
Here the piece continues:
All Committee members and other contacts/positions within PSLRA are filled by volunteers. Committees members and other contacts are instrumental in ensuring Club events, and the Club overall runs smoothly. [Read More]
Want to help make our events a success, and join in on the fun? Visit our Volunteer page to see the Volunteer Opportunities PSLRA currently has available. [Read More]
Want to become a PSLRA Member? Visit our Membership page to learn more about PSLRA, and to submit an on-line PSLRA Membership application.
┌──
(1)
MgHPd4 | PBE-GGA | optimized geometry

- E (eV/f.u.) = -27.425
- density (g/cm3) = 9.1
- N(E_F) (states/eV per cell) = 3.52

a b c (Å): 4.810 4.934 7.377
angles (deg): 109.32 93.21 90.08
Fractional coordinates of all 12 atoms:
Mg1 0.250 0.188 0.000
Mg2 0.750 0.812 0.000
H1 0.000 0.500 0.500
H2 0.500 0.000 0.500
Pd1 0.217 0.957 0.612
Pd2 0.229 0.562 0.801
Pd3 0.272 0.762 0.199
Pd4 0.283 0.345 0.388
Pd5 0.717 0.655 0.612
Pd6 0.728 0.238 0.801
Pd7 0.771 0.438 0.199
Pd8 0.783 0.043 0.388

***

(2)
MgH3Pd6 | PBE-GGA | optimized geometry

- E (eV/f.u.) = -44.669
- density (g/cm3) = 9.4
- N(E_F) (states/eV per cell) = 5.41

a b c (Å): 9.114 2.848 9.378
angles (deg): 90.00 104.55 90.00
Fractional coordinates of all 20 atoms:
Mg1 0.049 0.250 0.159
Mg2 0.951 0.750 0.841
H1 0.182 0.250 0.573
H2 0.362 0.750 0.082
H3 0.466 0.750 0.667
H4 0.534 0.250 0.333
H5 0.638 0.250 0.918
H6 0.818 0.750 0.427
Pd1 0.093 0.750 0.413
Pd2 0.177 0.750 0.711
Pd3 0.225 0.250 0.974
Pd4 0.316 0.750 0.261
Pd5 0.379 0.250 0.548
Pd6 0.468 0.750 0.861
Pd7 0.532 0.250 0.139
Pd8 0.621 0.750 0.452
Pd9 0.684 0.250 0.739
Pd10 0.775 0.750 0.026
Pd11 0.823 0.250 0.289
Pd12 0.907 0.250 0.587

***

E of number 2 (MgH3Pd6)? -44.669 eV/f.u.

***

Which value of density does entry 2 give? 9.4 g/cm3

***

Which of these has the lowest density? MgHPd4

~~~~~

{"formula": "TiAsH3", "functional": "GGA-PBE", "state": "optimized geometry", "crystal_system": "cubic", "de_polymorph_mev_per_atom": 0, "total_energy_ev_per_atom": -4.36, "cell": [[3.5546, 0.0000, 0.0000], [0.0000, 3.5546, 0.0000], [0.0000, 0.0000, 3.5546]], "species": ["H", "H", "H", "As", "Ti"], "frac_coords": [[0.0000, 0.5000, 0.0000], [0.0000, 0.0000, 0.5000], [0.5000, 0.0000, 0.0000], [0.5000, 0.5000, 0.5000], [0.0000, 0.0000, 0.0000]]}
└──
Club Policies & Standards
1. All members should adhere to AKC policy. Puppies should not be provided for auction or raffle, but may be donated directly under certain circumstances. (1/1990)
2. The rescue of purebred Labradors is a high priority for PSLRA. To that end, PSLRA Rescue operates in the Puget Sound region in conjunction with Seattle Purebred Dog Rescue (SPDR) and follows that organization’s policies. Labradors rescued outside of the Puget Sound area may be listed through SPDR, and PSLRA members may apply to the club’s rescue committee for financial support. All such requests for rescue funds must be approved in advance by the PSLRA rescue committee. (2/2000)
3. The PSLRA Logo or name cannot be used for advertising purposes benefiting individual members. Members’ web home pages may mention their membership in PSLRA if they provide a link on that page to the PSLRA home page. (4/1995; 2/2000; 6/2002)
4. The Board of Directors must approve all judges for all club events prior to the judges being invited. (6/1993)
5. Committee chairs/co-chairs should submit event budgets in advance of the event for Board approval. Requests for reimbursement greater than $50 and not included in the event budget should be brought to the board for approval. Chairs must attend the board meetings immediately before and within two months after their event or designate a board member to represent them in order to brief the board. See Policy #18. (11/2009)
6. Specialty conformation and sweepstakes judges must agree not to judge other Labrador specialties in the United States and Canada in the Pacific and Mountain time zones for six months prior to our specialty, or to accept other Labrador assignments in all-breed shows in the Pacific time zone for three months prior to our specialty. The club should strive to invite hunting retriever test, agility, rally, and obedience trial judges who do not have other assignments one month before or after the PSLRA event. (11/1990; 2/2000;11/2009)
7. Specialty show chairpersons may enter and show their dogs as long as they appoint a judges’ liaison and do not have any contact with the judges. (4/1992; 2/2000)
8. The donation to the club’s specialty show of prizes or raffle items whose value exceeds $200.00 may receive recognition in the show catalog at the discretion of the show committee. If there is uncertainty over a donation, the event chair should consult with the board. (11/2009)
9. Non-member ring stewards should be offered payment and lunch for their services; member stewards will receive complimentary lunches. (2/1994; 2/2000)
10. All members are encouraged to volunteer at public information events such as the Sportsman’s Show, World of Dogs, etc. Our purpose at these events is to help promote further understanding of our club and the breed. While volunteering at these events, members are acting as representatives of PSLRA and should refrain from advertising their personal business, including the display of their own business cards. The board of directors has determined that no dog under 4 months of age may be present at these events, either displayed or otherwise. (2/2000)
11. PSLRA Working Certificates can be given to any dog who passes at a PSLRA-sponsored test. PSLRA will not give out certificates for any Labrador (including members’ dogs) who pass at another club’s test. (2/1994; 2/2000)
12. Club members and PSLRA Board members volunteering at PSLRA hunting retriever tests will be distributed by the Hunting Test Secretary equally between ‘A’ and ‘B’ groups as evenly as possible. This policy is intended to alleviate worker shortages. (2/1994; 2/2000)
13. As an ongoing policy, a portion of the profits from club events will be donated annually for research on health issues in Labrador Retrievers. This policy will be noted in event catalogs. (4/1995; 1/1999; 7/2002; 11/2009)
14. All requests for donations to charity from club funds will require discussion at a Board meeting and approval by the Board. (3/1995; 11/2009)
15. The treasurer is authorized to move funds between checking and savings accounts as necessary. (1/1992)
16. Any members or exhibitors who bounce checks written to the Club may be asked to pay in cash in the future. (7/1992; 2/2000) Payments for club events, membership dues, merchandise, and any other fees or charges shall be made in US currency only. (2/2008) (These two policies combined on 11/2009.)
17. It is appropriate to request reimbursement from the Treasurer for official club expenses (including phone, mail, supplies, etc.). Such requests should be submitted on a club reimbursement form (available from the treasurer) and must be accompanied by all receipts. Requests for reimbursement greater than $50 and not included in an event budget must receive approval of the Board. (3/1994; /2000; 11/2009)
18. To the greatest extent possible, final financial accounting of an event will be due within two months of end of said event. (11/2009)
19. The club may hire or contract for the services and otherwise do business with club members. In so doing, every effort should be made to ensure that the prices, costs, and services offered by club members is competitive with other available options. No club member or any member of their immediate family can have decision-making authority over approval of a proposed business transaction of this nature. Event chairs and co-chairs should not have any financial interest in contracts associated with the event. (11/2009)
Memberships and Committees
20. All committee and event chairs shall be chosen or reviewed by the President following the January elections. At the February Board Meeting and at subsequent meetings as needed, those committee and event chairs shall be presented by the President to the Board for approval. It is recognized that it is prudent to the future of the club to encourage members to become involved in new positions and challenges. (6/1995; 2/2000; 11/2009)
21. The official PSLRA membership mailing list shall be made freely available for non-club education and training seminar mailings; commercial use shall require Board approval. (7/1994)
22. The annual membership dues will be waived for the first year of membership for any new member who elects to be a foster home for dogs in support of PSLRA’s rescue program. (3/1996)
23. Members who have held membership in the club continuously for twenty-five years shall be granted lifetime membership. (11/2009)
Listing of Litters and Dogs
24. Listings of litters and stud dogs must adhere to the Breeders Code of Ethics in order to be listed with the referral service or in the Newsletter. At least one parent must be owned by a member of PSLRA. Non-members whose dog breeds to a member’s dog may list a litter through the club only once, and must thereafter become members in order to list a litter. As part of using the listing service, a generous donation to PSLRA Rescue is recommended. The listing of a dog, stud dog or of a litter by puppy referral in no way implies an endorsement of any individual breeder or dogs, nor does it provide any guarantee regarding the health of the dogs. This policy shall also apply to litters mentioned on the club’s chat list. 1/93; 2/2000; 1/2001; 11/2009)
25. The Newsletter will not accept advertisements for the sale of live animals. The PSLRA Puppy Referral Litter Listing is an exception to this policy. (2/2009)
26. Club members are expected to actively help re-home, when necessary, the puppies and older dogs that they have bred. Active help includes either taking the dog back until a suitable new home can be found or working closely with the owner(s) to find a suitable new home. PSLRA rescue may be able to assist with this process, but the primary responsibility for finding a new home rests with the breeder. Breeders who do not provide this service will lose their privilege to list litters and/or older dogs in the Club’s Litter Listing. (11/2009)